Hello. I’m using an OMTech 55W laser, Ruida controller trying to do fill patterns.
I’ve read the threads with similar issues (loose belts, too high acceleration, shifting workpieces, etc) but I don’t believe I have any of those issues despite the results. However open to opinions and experience here.
My fill speed is 150mm/sec, x acceleration is 5,000 (mm/s^2), y acceleration is 2,000, x start speed is 20 mm/sec, y start speed is 15
When doing a fill on letters the output seems to skew and/or shift
Note the skews are different on each piece (one I cancelled), with the seven in particular slanted much more than the design, while other letters have shifts to the left. I’m doing a bi-directional fill. The top image was a fill of the whole project at once, the bottom image a fill of each individual shape/letter.
I ran two tests, one of a low-density fill of a large box and the patterns did not shift (both at 400mm/sec).
The second test was of individual fill boxes at 400mm/sec, again without fault. The moiré patterns (if you’re seeing them) are not on the actual test output but must be a photo artifact.
Is it possible that my acceleration values are too high for my machine, even though they seem to be in the normal range? It clearly looks like the bad examples are missing steps, but there does not appear
I have a very similar machine, OMTech 50W. The values are lower than I believe mine were, so I doubt that’s the problem.
What comes next are crystal structures, not part of the text
Pr4S3N2: simulated X-ray powder pattern (Cu Kα, 1.54184 Å), based on a DFT-relaxed cell (PBE, the Materials Project).
Lines closer than 0.1° are merged.

The 10 most intense peaks (2θ from 10° to 90°), low angle first:
- (2 1 -1), 2θ 26.38, d = 3.379 Å, rel. 59
- (2 -1 1), 2θ 26.59, d = 3.353 Å, rel. 100
- (0 2 2), 2θ 27.66, d = 3.225 Å, rel. 81
- (0 2 -2), 2θ 27.78, d = 3.212 Å, rel. 70
- (0 1 3), 2θ 30.86, d = 2.898 Å, rel. 32
- (3 2 3), 2θ 30.99, d = 2.886 Å, rel. 33
- (3 3 1), 2θ 31.07, d = 2.879 Å, rel. 20
- (0 4 0), 2θ 39.87, d = 2.261 Å, rel. 31
- (-3 1 1), 2θ 44.41, d = 2.040 Å, rel. 20
- (-2 2 2), 2θ 45.96, d = 1.975 Å, rel. 32

Structure:
abc: 9.9938 10.3333 10.4370
angles: 76.42 61.40 61.08
Space group P1 (No. 1)
One atom of each set of equivalent atoms:
Pr1 0.0000 0.0000 0.0000 (multiplicity 1)
Pr2 0.0054 0.7299 0.7709 (multiplicity 1)
Pr3 0.1069 0.2393 0.2698 (multiplicity 1)
Pr4 0.2736 0.7418 0.2185 (multiplicity 1)
Pr5 0.3736 0.2464 0.7228 (multiplicity 1)
Pr6 0.3847 0.9749 0.4912 (multiplicity 1)
Pr7 0.3913 0.4934 0.9336 (multiplicity 1)
Pr8 0.4783 0.2778 0.3063 (multiplicity 1)
Pr9 0.5581 0.7782 0.8137 (multiplicity 1)
Pr10 0.5786 0.9927 0.0592 (multiplicity 1)
Pr11 0.6088 0.5043 0.5059 (multiplicity 1)
Pr12 0.7638 0.4827 0.9936 (multiplicity 1)
Pr13 0.8036 0.9924 0.4293 (multiplicity 1)
Pr14 0.8321 0.1959 0.6858 (multiplicity 1)
Pr15 0.9065 0.7035 0.1847 (multiplicity 1)
Pr16 0.9875 0.4864 0.5607 (multiplicity 1)
S1 0.0783 0.2156 0.7433 (multiplicity 1)
S2 0.0907 0.9625 0.4678 (multiplicity 1)
S3 0.0939 0.4668 0.9678 (multiplicity 1)
S4 0.1876 0.4894 0.2452 (multiplicity 1)
S5 0.2832 0.5170 0.5224 (multiplicity 1)
S6 0.2909 0.0165 0.0274 (multiplicity 1)
S7 0.3054 0.7531 0.7543 (multiplicity 1)
S8 0.5795 0.7243 0.2366 (multiplicity 1)
S9 0.6644 0.2418 0.0021 (multiplicity 1)
S10 0.6943 0.9884 0.7427 (multiplicity 1)
S11 0.7112 0.7438 0.4975 (multiplicity 1)
S12 0.8020 0.2611 0.2580 (multiplicity 1)
N1 0.0047 0.8528 0.2100 (multiplicity 1)
N2 0.3803 0.1157 0.2826 (multiplicity 1)
N3 0.4880 0.6144 0.0062 (multiplicity 1)
N4 0.5051 0.1209 0.5039 (multiplicity 1)
N5 0.5470 0.3522 0.7135 (multiplicity 1)
N6 0.8343 0.6181 0.7833 (multiplicity 1)
N7 0.8696 0.8650 0.9959 (multiplicity 1)
N8 0.8881 0.3647 0.4879 (multiplicity 1)
From what I can see it looks like it’s loosing steps but I can’t tell if it ever recovers from that.
I’d suggest first eliminating any mechanical issues… ensure belts, pulleys and especially grub screws are firm and holding. The electronics are pretty dependable, so check for the likely cause…
I’ve messed with this a lot and usually you can hear it loose steps…
**Next to the piece, the page also holds records of crystals:**
~~~
# NaLi2Cd2Hg2
Theoretical X-ray powder pattern, Cu Kα (weighted mean of Kα1 and Kα2). Input: DFT lattice parameters and positions (PBE).
Intensities are scaled so that the largest is 1000.

Structure:
```
data_NaLi2Cd2Hg2
_chemical_formula_sum 'Na3 Li6 Cd6 Hg6'
_space_group_name_H-M_alt 'R -3 m'
_space_group_IT_number 166
_space_group_name_Hall '-R 3 2"'
_cell_length_a 4.9176
_cell_length_b 4.9176
_cell_length_c 21.1117
_cell_angle_alpha 90.00
_cell_angle_beta 90.00
_cell_angle_gamma 120.00
loop_
_atom_site_label
_atom_site_type_symbol
_atom_site_fract_x
_atom_site_fract_y
_atom_site_fract_z
Na1 Na 0.0000 0.0000 0.0000
Li1 Li 0.0000 0.0000 0.1431
Cd1 Cd 0.0000 0.0000 0.2777
Hg1 Hg 0.0000 0.0000 0.4284
```

Most intense lines, 10° ≤ 2θ ≤ 80°, sorted by position:
h k l, 2θ/deg, I_rel
1 0 1, 21.3, 602
0 0 6, 25.3, 196
1 1 0, 36.5, 1000
1 1 6, 45.0, 258
0 2 7, 52.6, 171
3 0 0, 65.7, 340

* * * * *

For Mn6O5F7, a DFT-relaxed cell (PBE+U, Alexandria) gives the calculated PXRD pattern in this record (copper Kα).

abc: 4.728 9.498 4.755
angles: 90.00 95.02 90.00
Element x y z (fractional)
Mn  0.000  0.000  0.000
Mn  0.036  0.339  0.027
Mn  0.036  0.661  0.027
Mn  0.502  0.158  0.495
Mn  0.502  0.842  0.495
Mn  0.536  0.500  0.461
O  0.294  0.000  0.296
O  0.339  0.324  0.311
O  0.339  0.676  0.311
O  0.703  0.000  0.702
O  0.860  0.500  0.189
F  0.199  0.172  0.822
F  0.199  0.828  0.822
F  0.245  0.500  0.792
F  0.730  0.325  0.707
F  0.730  0.675  0.707
F  0.818  0.164  0.197
F  0.818  0.836  0.197

Top 10 peaks for 10 to 80 degrees two-theta, low angle first:
- (1 0 -1), 2θ 25.5, intensity 100.0
- (1 0 1), 2θ 27.9, intensity 81.6
- (1 3 0), 2θ 34.1, intensity 95.5
- (1 3 -1), 2θ 38.4, intensity 18.9
- (1 3 -2), 2θ 50.6, intensity 31.7
- (2 3 -1), 2θ 50.7, intensity 31.7
- (1 3 2), 2θ 53.3, intensity 23.4
- (2 3 1), 2θ 53.5, intensity 23.3
- (0 3 3), 2θ 66.1, intensity 18.8
- (3 3 0), 2θ 66.5, intensity 19.0

* * * * *

1.
Dy3Al: theoretical powder XRD pattern (a wavelength of 1.5418 Å), based on DFT lattice parameters and positions (GGA-PBE).
Peak positions follow from Bragg's law for the DFT cell and can differ from measured ones.

Largest 10 diffraction maxima, in order of rising 2θ, 2θ from 10° to 90°:
d/Å	Rel. int.
4.752	199
3.360	174
2.744	1000
2.376	502
2.125	100
1.940	76
1.680	349
1.433	412
1.372	119
1.188	56

Cell and atoms:
Cell: 4.752 4.752 4.752 Å, 90.00 90.00 90.00°
Fractional coordinates of all 4 atoms:
Dy 0.000 0.000 0.500
Dy 0.000 0.500 0.000
Dy 0.500 0.000 0.000
Al 0.500 0.500 0.500


2.
CuRe3Sn5: theoretical powder XRD pattern (a wavelength of 1.5418 Å), based on DFT lattice parameters and positions (GGA-PBE).
Peak positions follow from Bragg's law for the DFT cell and can differ from measured ones.

Largest 10 diffraction maxima, in order of rising 2θ, 2θ from 10° to 90°:
d/Å	Rel. int.
8.182	1000
4.664	248
2.727	408
2.693	279
2.243	642
2.026	878
1.538	202
1.346	209
1.339	197
1.207	211

Cell and atoms:
~~~
Here is my machine almost original and in almost current configuration.
There is an obscure setting that needs to be unlocked in the Vendor Settings under machine settings:
Unrelated to this text: materials data:
+++
(1)
Cs3ZrU3Se8: computed powder XRD pattern (Cu Kα (weighted mean of Kα1 and Kα2)), based on a DFT-relaxed cell (PBE, Alexandria).

The 8 most intense peaks (10° ≤ 2θ ≤ 80°), low angle first:
two_theta	d/Å	intensity
10.24	8.638	47
20.56	4.319	13
28.52	3.130	100
34.89	2.572	17
37.47	2.400	35
43.87	2.064	34
53.16	1.723	17
71.30	1.323	15

Structural model:
a = 9.866 Å, b = 9.866 Å, c = 9.866 Å
α = 49.47°, β = 49.47°, γ = 49.47°
Atoms (fractional coordinates):
Cs  0.000  0.500  0.500
Cs  0.500  0.000  0.500
Cs  0.500  0.500  0.000
Zr  0.500  0.500  0.500
U  0.000  0.000  0.500
U  0.000  0.500  0.000
U  0.500  0.000  0.000
Se  0.230  0.230  0.230
Se  0.239  0.722  0.722
Se  0.278  0.278  0.761
Se  0.278  0.761  0.278
Se  0.722  0.239  0.722
Se  0.722  0.722  0.239
Se  0.761  0.278  0.278
Se  0.770  0.770  0.770



(2)
Cs3VSe4: computed powder XRD pattern (Cu Kα (weighted mean of Kα1 and Kα2)), based on a DFT-relaxed cell (PBE, Alexandria).

The 8 most intense peaks (10° ≤ 2θ ≤ 80°), low angle first:
two_theta	d/Å	intensity
22.72	3.915	84
24.32	3.659	48
27.04	3.298	80
27.48	3.246	79
28.15	3.170	90
28.67	3.113	57
29.50	3.028	100
34.80	2.578	54

Structural model:
a = 10.257 Å, b = 12.099 Å, c = 10.282 Å
α = 90.00°, β = 90.00°, γ = 90.00°
Atoms (fractional coordinates):
Cs  0.046  0.043  0.207
Cs  0.046  0.457  0.207
Cs  0.146  0.750  0.411
Cs  0.354  0.250  0.911
Cs  0.454  0.543  0.707
Cs  0.454  0.957  0.707
Cs  0.546  0.043  0.293
Cs  0.546  0.457  0.293
Cs  0.646  0.750  0.089
Cs  0.854  0.250  0.589
Cs  0.954  0.543  0.793
Cs  0.954  0.957  0.793
V  0.222  0.750  0.983
V  0.278  0.250  0.483
V  0.722  0.750  0.517
V  0.778  0.250  0.017
Se  0.014  0.750  0.068
Se  0.170  0.093  0.548
Se  0.170  0.407  0.548
Se  0.209  0.750  0.760
Se  0.291  0.250  0.260
Se  0.330  0.593  0.048
Se  0.330  0.907  0.048
Se  0.486  0.250  0.568
Se  0.514  0.750  0.432
Se  0.670  0.093  0.952
Se  0.670  0.407  0.952
Se  0.709  0.750  0.740
Se  0.791  0.250  0.240
Se  0.830  0.593  0.452
Se  0.830  0.907  0.452
Se  0.986  0.250  0.932



(3)
CsWSe3: computed powder XRD pattern (Cu Kα (weighted mean of Kα1 and Kα2)), based on a DFT-relaxed cell (PBE, Alexandria).

The 8 most intense peaks (10° ≤ 2θ ≤ 80°), low angle first:
two_theta	d/Å	intensity
22.46	3.959	59
22.66	3.924	64
23.38	3.804	38
24.06	3.699	100
30.39	2.941	77
32.02	2.795	44
39.52	2.281	51
41.26	2.188	47

Structural model:
a = 9.818 Å, b = 6.664 Å, c = 9.371 Å
α = 90.00°, β = 98.56°, γ = 90.00°
Atoms (fractional coordinates):
Cs  0.123  0.156  0.211
Cs  0.123  0.344  0.711
Cs  0.877  0.656  0.289
Cs  0.877  0.844  0.789
W  0.423  0.740  0.592
W  0.423  0.760  0.092
W  0.577  0.240  0.908
W  0.577  0.260  0.408
Se  0.184  0.672  0.068
Se  0.184  0.828  0.568
Se  0.352  0.073  0.950
Se  0.352  0.427  0.450
Se  0.463  0.584  0.842
Se  0.463  0.916  0.342
Se  0.537  0.084  0.658
Se  0.537  0.416  0.158
Se  0.648  0.573  0.550
Se  0.648  0.927  0.050
Se  0.816  0.172  0.432
Se  0.816  0.328  0.932



(4)
+++
If your output looks like this, you likely have your motor pulse step polarity set incorrectly. On Ruida controllers, there’s a setting called ‘PWM Rising Edge Valid’ that you can change for each axis that tells the controller whether the rising edge or falling edge of a step pulse is what the motor driver is looking for. Toggling this may fix skewed engraving.
The fix is relatively simple. In Edit > Machine Settings, look in the X & Y axis motor settings section at the bottom, and look for the value of ‘PWM Rising Edge Valid’ on the X axis. Change that - if’s it’s checked, un-check it, or vice versa. Then, copy the new setting over to the Y axis as well.
Unlocking vendor settings comes with a warning so I wasn’t clicking around in them. But switching this setting to “off” gave me a successful job.
Thanks for the attention to this – at this point I think this can be flagged “resolved”